+++
Pr3Sm4Tm8 | PBE | relaxed

a = 6.741 Å, b = 9.291 Å, c = 9.291 Å
α = 87.71°, β = 111.22°, γ = 111.22°
Fractional coordinates of all 15 atoms:
Tm (0.000, 0.638, 0.362)
Tm (0.994, 0.734, 0.734)
Tm (0.527, 0.266, 0.266)
Sm (0.000, 0.500, 0.000)
Tm (0.000, 0.362, 0.638)
Sm (0.500, 0.000, 0.000)
Sm (0.000, 0.000, 0.500)
Pr (0.500, 0.500, 0.000)
Tm (0.500, 0.745, 0.255)
Tm (0.473, 0.734, 0.734)
Pr (0.500, 0.000, 0.500)
Tm (0.006, 0.266, 0.266)
Sm (0.000, 0.000, 0.000)
Tm (0.500, 0.255, 0.745)
Pr (0.500, 0.500, 0.500)

Symmetry: C2/m
D(E_F) (states/eV/f.u.): 30.78
ΔH_f (0 K) (meV per atom): 374

* * * * *

This record from the Alexandria database describes LiVHO2 after structural relaxation. The functional is PBE+U.

Summary:
raw total energy = -3.964 eV per atom
theoretical density = 3.02 g/cm3

a b c (Å): 3.4294 4.2430 3.4294
angles (deg): 90.00 90.00 90.00
Closest atoms and distances in Å follow each position.
Positions (direct):
H: 0.5000 0.5000 0.5000  4 V 2.42
Li: 0.0000 0.0000 0.0000  4 O 1.71
O: 0.0000 0.0000 0.5000  2 Li 1.71
O: 0.5000 0.0000 0.0000  2 Li 1.71
V: 0.0000 0.5000 0.0000  2 Li 2.12

***

This record from the Alexandria database describes LiV2HO6 after structural relaxation. The functional is PBE+U.

Summary:
raw total energy = -6.744 eV per atom
theoretical density = 2.61 g/cm3

a b c (Å): 5.8418 6.8459 6.8459
angles (deg): 86.98 78.08 78.08
Closest atoms and distances in Å follow each position.
Positions (direct):
Li: 0.2500 0.8777 0.1223  2 O 1.99
Li: 0.7500 0.1223 0.8777  2 O 1.99
V: 0.2577 0.8138 0.6283  4 O 1.65-1.80
V: 0.2423 0.3717 0.1862  4 O 1.65-1.80
V: 0.7423 0.1862 0.3717  4 O 1.65-1.80
V: 0.7577 0.6283 0.8138  4 O 1.65-1.80
+++

Start at the top of the contents further up and retype each line, ending with the one that has "***".

Pr3Sm4Tm8 | PBE | relaxed

a = 6.741 Å, b = 9.291 Å, c = 9.291 Å
α = 87.71°, β = 111.22°, γ = 111.22°
Fractional coordinates of all 15 atoms:
Tm (0.000, 0.638, 0.362)
Tm (0.994, 0.734, 0.734)
Tm (0.527, 0.266, 0.266)
Sm (0.000, 0.500, 0.000)
Tm (0.000, 0.362, 0.638)
Sm (0.500, 0.000, 0.000)
Sm (0.000, 0.000, 0.500)
Pr (0.500, 0.500, 0.000)
Tm (0.500, 0.745, 0.255)
Tm (0.473, 0.734, 0.734)
Pr (0.500, 0.000, 0.500)
Tm (0.006, 0.266, 0.266)
Sm (0.000, 0.000, 0.000)
Tm (0.500, 0.255, 0.745)
Pr (0.500, 0.500, 0.500)

Symmetry: C2/m
D(E_F) (states/eV/f.u.): 30.78
ΔH_f (0 K) (meV per atom): 374

* * * * *

This record from the Alexandria database describes LiVHO2 after structural relaxation. The functional is PBE+U.

Summary:
raw total energy = -3.964 eV per atom
theoretical density = 3.02 g/cm3

a b c (Å): 3.4294 4.2430 3.4294
angles (deg): 90.00 90.00 90.00
Closest atoms and distances in Å follow each position.
Positions (direct):
H: 0.5000 0.5000 0.5000  4 V 2.42
Li: 0.0000 0.0000 0.0000  4 O 1.71
O: 0.0000 0.0000 0.5000  2 Li 1.71
O: 0.5000 0.0000 0.0000  2 Li 1.71
V: 0.0000 0.5000 0.0000  2 Li 2.12

***